_Work order_
Next, repeat all of the calculation results further down character by character.

_Listing_
/*
Entry 1:
This record from Alexandria via LeMat-Bulk describes a relaxed CaAlRe2 crystal. The functional is PBE.

Geometry as CIF:
```
data_CaAlRe2
_chemical_formula_sum 'Ca1 Al1 Re2'
_cell_length_a 3.2648
_cell_length_b 4.5156
_cell_length_c 4.6078
_cell_angle_alpha 90.00
_cell_angle_beta 90.00
_cell_angle_gamma 90.00
_symmetry_space_group_name_H-M 'P 1'
_symmetry_Int_Tables_number 1
_symmetry_space_group_name_Hall 'P 1'
loop_
_atom_site_label
_atom_site_fract_x
_atom_site_fract_y
_atom_site_fract_z
Re1 0.5000 0.5000 0.0000
Re2 0.0000 0.0000 0.0000
Ca1 0.0000 0.5000 0.5000
Al1 0.5000 0.0000 0.5000
```

Space-group type: No. 47
Raw total energy, eV/atom: -7.14
E_form, meV/atom: 515
Fermi-level density of states, states/eV/atom: 0.66

Entry 2:
This record from Alexandria via LeMat-Bulk describes a relaxed CaAlRe3 crystal. The functional is PBE.

Geometry as CIF:
```
data_CaAlRe3
_chemical_formula_sum 'Ca1 Al1 Re3'
_cell_length_a 4.5991
_cell_length_b 4.5991
_cell_length_c 4.5991
_cell_angle_alpha 90.00
_cell_angle_beta 90.00
_cell_angle_gamma 90.00
_symmetry_space_group_name_H-M 'P 1'
_symmetry_Int_Tables_number 1
_symmetry_space_group_name_Hall 'P 1'
loop_
_atom_site_label
_atom_site_fract_x
_atom_site_fract_y
_atom_site_fract_z
Ca1 0.5000 0.5000 0.5000
Al1 0.0000 0.0000 0.0000
Re1 0.0000 0.0000 0.5000
Re2 0.5000 0.0000 0.0000
Re3 0.0000 0.5000 0.0000
```

Space-group type: No. 221
Raw total energy, eV/atom: -7.10
E_form, meV/atom: 1515
Fermi-level density of states, states/eV/atom: 2.04

Entry 3:
This record from Alexandria via LeMat-Bulk describes a relaxed CaAlRe2 crystal. The functional is PBE.

Geometry as CIF:
```
data_CaAlRe2
_chemical_formula_sum 'Ca1 Al1 Re2'
_cell_length_a 5.4108
_cell_length_b 5.4721
_cell_length_c 2.6997
_cell_angle_alpha 80.76
_cell_angle_beta 79.98
_cell_angle_gamma 116.84
_symmetry_space_group_name_H-M 'P 1'
_symmetry_Int_Tables_number 1
_symmetry_space_group_name_Hall 'P 1'
loop_
_atom_site_label
_atom_site_fract_x
_atom_site_fract_y
_atom_site_fract_z
Re1 0.0000 0.0000 0.0000
Re2 0.5000 0.0000 0.5000
Al1 0.0000 0.5000 0.5000
Ca1 0.5000 0.5000 0.0000
```

Space-group type: No. 12
Raw total energy, eV/atom: -7.18
E_form, meV/atom: 483
Fermi-level density of states, states/eV/atom: 0.69

Entry 4:
This record from Alexandria via LeMat-Bulk describes a relaxed CaAlRe2 crystal. The functional is PBE.

Geometry as CIF:
```
data_CaAlRe2
_chemical_formula_sum 'Ca1 Al1 Re2'
_cell_length_a 5.5543
_cell_length_b 5.5543
_cell_length_c 5.5543
_cell_angle_alpha 146.58
_cell_angle_beta 129.15
_cell_angle_gamma 62.22
_symmetry_space_group_name_H-M 'P 1'
_symmetry_Int_Tables_number 1
_symmetry_space_group_name_Hall 'P 1'
loop_
_atom_site_label
_atom_site_fract_x
_atom_site_fract_y
_atom_site_fract_z
Ca1 0.2414 0.7414 0.5000
Re1 0.9660 0.9660 0.0000
Re2 0.7660 0.2660 0.5000
Al1 0.5266 0.5266 0.0000
```

Space-group type: No. 44
Raw total energy, eV/atom: -7.26
E_form, meV/atom: 402
Fermi-level density of states, states/eV/atom: 1.03

Entry 5:
This record from Alexandria via LeMat-Bulk describes a relaxed CaAlRe2 crystal. The functional is PBE.

Geometry as CIF:
```
data_CaAlRe2
_chemical_formula_sum 'Ca2 Al2 Re4'
_cell_length_a 4.2033
_cell_length_b 4.2033
_cell_length_c 9.8876
_cell_angle_alpha 77.73
_cell_angle_beta 77.73
_cell_angle_gamma 90.00
_symmetry_space_group_name_H-M 'P 1'
_symmetry_Int_Tables_number 1
_symmetry_space_group_name_Hall 'P 1'
loop_
_atom_site_label
_atom_site_fract_x
_atom_site_fract_y
_atom_site_fract_z
Al1 0.2500 0.7500 0.5000
Al2 0.5000 0.5000 0.0000
Ca1 0.0000 0.0000 0.0000
Ca2 0.7500 0.2500 0.5000
Re1 0.8750 0.4769 0.7500
Re2 0.2269 0.1250 0.2500
Re3 0.3750 0.7731 0.7500
Re4 0.5231 0.6250 0.2500
```

Space-group type: No. 122
Raw total energy, eV/atom: -6.98
E_form, meV/atom: 679
Fermi-level density of states, states/eV/atom: 0.62

Entry 6:
This record from Alexandria via LeMat-Bulk describes a relaxed CaAlRe2 crystal. The functional is PBE.

Geometry as CIF:
```
data_CaAlRe2
*/

_Result_
Entry 1:
This record from Alexandria via LeMat-Bulk describes a relaxed CaAlRe2 crystal. The functional is PBE.

Geometry as CIF:
```
data_CaAlRe2
_chemical_formula_sum 'Ca1 Al1 Re2'
_cell_length_a 3.2648
_cell_length_b 4.5156
_cell_length_c 4.6078
_cell_angle_alpha 90.00
_cell_angle_beta 90.00
_cell_angle_gamma 90.00
_symmetry_space_group_name_H-M 'P 1'
_symmetry_Int_Tables_number 1
_symmetry_space_group_name_Hall 'P 1'
loop_
_atom_site_label
_atom_site_fract_x
_atom_site_fract_y
_atom_site_fract_z
Re1 0.5000 0.5000 0.0000
Re2 0.0000 0.0000 0.0000
Ca1 0.0000 0.5000 0.5000
Al1 0.5000 0.0000 0.5000
```

Space-group type: No. 47
Raw total energy, eV/atom: -7.14
E_form, meV/atom: 515
Fermi-level density of states, states/eV/atom: 0.66

Entry 2:
This record from Alexandria via LeMat-Bulk describes a relaxed CaAlRe3 crystal. The functional is PBE.

Geometry as CIF:
```
data_CaAlRe3
_chemical_formula_sum 'Ca1 Al1 Re3'
_cell_length_a 4.5991
_cell_length_b 4.5991
_cell_length_c 4.5991
_cell_angle_alpha 90.00
_cell_angle_beta 90.00
_cell_angle_gamma 90.00
_symmetry_space_group_name_H-M 'P 1'
_symmetry_Int_Tables_number 1
_symmetry_space_group_name_Hall 'P 1'
loop_
_atom_site_label
_atom_site_fract_x
_atom_site_fract_y
_atom_site_fract_z
Ca1 0.5000 0.5000 0.5000
Al1 0.0000 0.0000 0.0000
Re1 0.0000 0.0000 0.5000
Re2 0.5000 0.0000 0.0000
Re3 0.0000 0.5000 0.0000
```

Space-group type: No. 221
Raw total energy, eV/atom: -7.10
E_form, meV/atom: 1515
Fermi-level density of states, states/eV/atom: 2.04

Entry 3:
This record from Alexandria via LeMat-Bulk describes a relaxed CaAlRe2 crystal. The functional is PBE.

Geometry as CIF:
```
data_CaAlRe2
_chemical_formula_sum 'Ca1 Al1 Re2'
_cell_length_a 5.4108
_cell_length_b 5.4721
_cell_length_c 2.6997
_cell_angle_alpha 80.76
_cell_angle_beta 79.98
_cell_angle_gamma 116.84
_symmetry_space_group_name_H-M 'P 1'
_symmetry_Int_Tables_number 1
_symmetry_space_group_name_Hall 'P 1'
loop_
_atom_site_label
_atom_site_fract_x
_atom_site_fract_y
_atom_site_fract_z
Re1 0.0000 0.0000 0.0000
Re2 0.5000 0.0000 0.5000
Al1 0.0000 0.5000 0.5000
Ca1 0.5000 0.5000 0.0000
```

Space-group type: No. 12
Raw total energy, eV/atom: -7.18
E_form, meV/atom: 483
Fermi-level density of states, states/eV/atom: 0.69

Entry 4:
This record from Alexandria via LeMat-Bulk describes a relaxed CaAlRe2 crystal. The functional is PBE.

Geometry as CIF:
```
data_CaAlRe2
_chemical_formula_sum 'Ca1 Al1 Re2'
_cell_length_a 5.5543
_cell_length_b 5.5543
_cell_length_c 5.5543
_cell_angle_alpha 146.58
_cell_angle_beta 129.15
_cell_angle_gamma 62.22
_symmetry_space_group_name_H-M 'P 1'
_symmetry_Int_Tables_number 1
_symmetry_space_group_name_Hall 'P 1'
loop_
_atom_site_label
_atom_site_fract_x
_atom_site_fract_y
_atom_site_fract_z
Ca1 0.2414 0.7414 0.5000
Re1 0.9660 0.9660 0.0000
Re2 0.7660 0.2660 0.5000
Al1 0.5266 0.5266 0.0000
```

Space-group type: No. 44
Raw total energy, eV/atom: -7.26
E_form, meV/atom: 402
Fermi-level density of states, states/eV/atom: 1.03

Entry 5:
This record from Alexandria via LeMat-Bulk describes a relaxed CaAlRe2 crystal. The functional is PBE.

Geometry as CIF:
```
data_CaAlRe2
_chemical_formula_sum 'Ca2 Al2 Re4'
_cell_length_a 4.2033
_cell_length_b 4.2033
_cell_length_c 9.8876
_cell_angle_alpha 77.73
_cell_angle_beta 77.73
_cell_angle_gamma 90.00
_symmetry_space_group_name_H-M 'P 1'
_symmetry_Int_Tables_number 1
_symmetry_space_group_name_Hall 'P 1'
loop_
_atom_site_label
_atom_site_fract_x
_atom_site_fract_y
_atom_site_fract_z
Al1 0.2500 0.7500 0.5000
Al2 0.5000 0.5000 0.0000
Ca1 0.0000 0.0000 0.0000
Ca2 0.7500 0.2500 0.5000
Re1 0.8750 0.4769 0.7500
Re2 0.2269 0.1250 0.2500
Re3 0.3750 0.7731 0.7500
Re4 0.5231 0.6250 0.2500
```

Space-group type: No. 122
Raw total energy, eV/atom: -6.98
E_form, meV/atom: 679
Fermi-level density of states, states/eV/atom: 0.62

Entry 6:
This record from Alexandria via LeMat-Bulk describes a relaxed CaAlRe2 crystal. The functional is PBE.

Geometry as CIF:
```
data_CaAlRe2